Friday 23 October 2009

When is a book not a book and when does communication...?

**Here the text breaks off for records of molecules:**
(1)
67
Properties=species:S:1:pos:R:3:forces:R:3 method="wB97M-V/def2-TZVPD" s2=6.27 homo_ev="-17.39 / -16.58" largest_force_ha_per_bohr=0.0396 charge=+3 homo_lumo_gap_ha="0.302 / 0.172" e_lumo_ev="-9.2 / -11.9" spin_multiplicity=5 energy_ev=-158220.987
Mn -0.0185 -0.0107 -0.3588 1.2 0.0 1.6
P -2.4027 -0.1036 -0.6829 -0.7 0.0 0.0
P 0.1765 -2.4563 -0.3144 0.0 -0.9 -0.4
P -0.0096 2.4368 -0.3732 -0.1 0.9 -0.4
H 1.5632 -0.9035 -2.2499 0.2 0.2 0.0
C 1.5802 0.0334 -1.6945 0.2 0.0 1.5
C 2.1241 0.0758 -0.3519 -0.4 0.0 -1.3
H 2.5864 -0.8215 0.0739 -0.3 0.4 -0.2
C -2.7312 -0.1500 -2.4725 -0.2 0.0 -0.4
C -3.3288 -1.5478 -0.0490 -0.2 -0.1 0.0
C -3.4497 1.2782 -0.1003 -0.2 0.1 0.0
C 1.8570 -3.1865 -0.2774 0.2 0.3 0.0
C -0.6429 -3.4830 0.9539 -0.3 0.2 0.2
C -0.4516 -3.0888 -1.9232 0.0 -0.1 0.0
C 1.6065 3.2998 -0.3644 0.3 -0.2 0.0
C -0.8900 3.4049 0.9016 -0.2 -0.2 0.2
C -0.7014 2.9990 -1.9803 -0.1 0.1 0.0
H 1.4867 0.9445 -2.2850 0.2 -0.2 0.0
H 2.5123 1.0185 0.0495 -0.2 -0.5 -0.2
H -3.8171 -0.1873 -2.6458 0.3 0.0 0.0
H -2.2650 -1.0308 -2.9351 -0.2 0.1 0.2
H -2.3200 0.7392 -2.9717 -0.2 -0.1 0.3
H -4.3851 -1.4359 -0.3401 0.3 -0.1 0.1
H -3.2735 -1.6029 1.0465 -0.1 0.0 -0.3
H -2.9515 -2.4919 -0.4604 -0.1 0.3 0.1
H -4.4950 1.0550 -0.3666 0.3 0.1 0.1
H -3.1697 2.2319 -0.5638 -0.1 -0.3 0.1
H -3.3858 1.3908 0.9903 -0.1 0.0 -0.3
H 1.8041 -4.2726 -0.4574 -0.1 0.4 0.1
H 2.3158 -3.0197 0.7077 -0.1 -0.1 -0.3
H 2.5043 -2.7349 -1.0403 -0.1 -0.2 0.1
H -0.7692 -4.5101 0.5760 0.1 0.3 0.1
H -1.6224 -3.0831 1.2391 0.3 -0.2 -0.1
H -0.0137 -3.5106 1.8548 -0.1 0.0 -0.3
H -0.1383 -4.1367 -2.0319 -0.2 0.3 -0.1
H -0.0298 -2.5020 -2.7516 0.0 -0.2 0.2
H -1.5456 -3.0273 -1.9852 0.3 -0.1 0.0
H 1.4623 4.3757 -0.5557 -0.1 -0.4 0.1
H 2.2785 2.8926 -1.1310 -0.1 0.2 0.2
H 2.0905 3.1833 0.6158 -0.1 0.1 -0.2
H -0.8663 4.4718 0.6296 0.0 -0.4 0.1
H -0.3858 3.2716 1.8684 -0.1 0.0 -0.3
H -1.9324 3.0888 1.0185 0.3 0.1 0.0
H -0.4889 4.0712 -2.0973 -0.2 -0.3 -0.1
H -1.7850 2.8360 -2.0354 0.3 0.1 0.0
H -0.2332 2.4483 -2.8087 0.0 0.2 0.2
C 0.9454 0.1133 -6.3751 -0.7 -0.1 0.9
C 2.0855 -0.0999 -5.5784 1.4 0.0 0.2
C 3.3624 -0.0339 -6.1347 -0.7 -0.2 1.0
C 3.5328 0.2156 -7.5026 -0.2 0.0 0.0
C 2.3989 0.3971 -8.3133 -0.8 0.0 0.0
C 1.1190 0.3421 -7.7609 -0.2 0.3 -1.0
Se -0.7558 0.1032 -5.4882 1.3 -0.1 -0.3
H -0.2934 -0.1834 -4.0469 0.0 0.2 -1.4
H 1.9435 -0.3017 -4.5187 0.3 0.0 -0.2
H 4.2294 -0.1794 -5.4887 -0.2 0.0 -0.2
H 4.5375 0.2645 -7.9241 -0.3 0.0 0.1
H 2.5369 0.5842 -9.3815 -0.2 -0.1 0.4
H 0.2394 0.4851 -8.4009 0.4 0.0 0.2
S -1.1285 0.0084 4.3226 1.1 0.0 -0.5
C 0.6074 0.0325 4.1780 -0.3 0.0 -1.1
C 0.9825 0.0291 2.8500 -1.2 0.0 0.5
N -0.0943 0.0065 1.9608 -0.9 0.0 0.5
C -1.2658 -0.0049 2.6264 1.3 0.0 -0.4
H 1.2676 0.0453 5.0311 -0.1 0.0 0.1
H 1.9986 0.0420 2.4561 -0.4 0.0 0.2
H -2.2412 -0.0196 2.1335 0.5 0.0 0.3



(2)
10

need something elseI am not sure what the answer to this question is but Nicola Morgan's post on An Awfully Big Blog Adventure has prompted me into something I did not intend to say today.
I have never used an e-book. I may well use an e-book in the future but, for the moment, I use the dinasours I consider to be real know, those strange things made from funny flimsy pieces of paper covered in squiggly lines. I rather happen to like them and I suspect that a lot of other people do too.
e-books may be the way of the future. I do not know but I rather doubt they will take over completely in my lifetime or even the life time of the next generation. They may never take over. The reason for this may have nothing at all to do with their format but the fact that e-books require equipment and power to be read. Those things may end up in short supply and be required for other things.
Consider a book. It requires a considerable amount of power to produce but, once produced, it requires no more power to use it. We may choose to use power to use it if we read it in the Arctic winter or at night but it can be read by daylight. Daylight, at this point, is still free. We do not have to pay for it. Daylight has not, yet, broken down.
e-books require equipment, expensive equipment, in order to be used. They require power. The equipment can break down. It may also grow old and incompatible - like me. I do not know enough about this but I cannot see that scrolling backwards and forwards is as easy for the likes of me as flipping pages backwards and forwards.
It is all a little reminiscent of the argument in another area of my life. There is a "technology is good" and "technology makes you like everyone else" argument in the world of augmentative and alternative communication. People with severe communication impairments are being told that the most acceptable way to communicate is to have expensive equipment which provides you with a voice. If you can read what I am burbling on about here then you will be aware of what I mean if I say equipment which gives you the sort of artificial "voice" used by Stephen Hawking.
It may well be that this is the most acceptable way to communicate - for some and at some times or on some occasions. Like e-books however these things have limitations. The most obvious is that they can break down and, without an alternative, the person has no effective means of communication. They cannot express emotions in the way speech does. You cannot whisper. You cannot use them while in the bath or swimming pool or when the power source fails. There are undoubtedly other places you are unable to use them as well. We do those who have severe communication impairments a severe disservice when we fail to supply them with alternative means of communication. It is their right to have these alternatives at hand should they wish to use them. After all the rest of us have alternatives. We can whisper or shout as well as speak. Many people with severe speech impairments also have other difficulties which prevent them from writing a message as well. A friend once complained to me that, when he used the technology, he could never say anything private. Most advanced users of high tech speech equipment tell me they would like a low tech alternative as well, something that will not break down. They want to be able to go on using it - forever.
I think it may be the same with books, real books. I suspect we will go on using them for some time to come.


Agnieszkas Shoes said...

I have likewise never used an ebook - though my father-in-law has one because he has a visual impairment and its zoom facility means he can still read (I have seen him use it and once pressedx a key, but that's it). I have no desire to use one - ever. I think digital books will slowly take over - but not ebooks as we know them. I think intelligent paper will eventually be the future - it will feel just like a boko, and read just like a book - only when you've finished one book, it will become another.

I honestly don't know about real books. I hope they will be with us forever (I am not a minimalist - I have no interest in having one device onto whcih I can load all my books - I like having piles of books scattered so I can't see the floor). But as a writer, I am trying to accept I am in a minority, and I have to embrace new things in order to (try to) make it. I will always READ books though. Proper bokos on flimsy, temporary, unintelligent paper.

catdownunder said...

Well Dan, should you ever happen to visit, you will feel quite at home - we have books, and more books. Our shelves are double (and sometimes triple) stacked.